Rev. A. L. Mitchell, assisted by Rev. David Johnson organized St. John A.M.E. Church, Birmingham, Alabama, November 10, 1873. The original location was at Twenty-fifth Street and Second Avenue, North, where twenty-five (25) faithful servants of God began worshiping in a house (storefront). This mode of worship continued for two years; during which time the official organization was completed. The members of St. John then decided to build a church. After prayerful consideration, the church then agreed on a site at Twenty-fifth Street and Third Avenue North, one block from the storefront. On that site, a beautiful edifice was constructed. The church was officially incorporated September 22, 1886, (Incorporation Record “A”, page 511, Jefferson County Courthouse) by Jessie Claxton, W.S. Robinson, G. Eli, Sandy Goodlow, Jackson Wiley, W.C. Black, Frank Hade, Monroe Steavens, and Dave McSpaden. These nine men served as the first Board of Trustees. The church site at Twenty-fifth Street and Third Avenue, North served as a temporary location for a public school for colored children.
When St. John was organized in 1873, the city; although only two years old, was already teething on steel and becoming a major city. Birmingham, Alabama grew rapidly and the prosperity of the city and St, John was inevitable. St. John’s location was very popular, situated between the new railroad terminal station and the L&N passenger depot. St. John was very accessible from any part of the city within a radius of six miles. The continued growth and vitality of a metropolis does not depend on one circumstance; but rather on several different variables such as, schools, people, industry, service, a complete infrastructure and churches. That growth and vitality directly affected St. John because of the development around the Terminal Station (which is now demolished), the congregation had to seek another location.
In the early 1920’s, the members of St. John began to worship in the basement at Seventh Avenue an Fifteenth Street, North. The late Rev. H. N. Newsome planned and directed the construction of a new church building at an estimated cost of $125,000.00, which was not enough to complete construction. The sanctuary was finished during the years of 1940-1942, under the direction of the pastor, Rev. Henderson R. Hughes. During Rev. Hughes’ tenure at St. John, the members initiated and attempt to liquidate the bonded indebtedness of the church. The agreed upon liquidation plan worked very well and was accepted and continued throughout the administrations of Rev. L E. Long and Rev. A. D. Wilson. From 1942 to 1952, the church experienced many challenges, including financial difficulties.
In November 1952, Rev. C.E. Thomas became the thirty-seventh pastor of historic St. John. Under his leadership, a $30,000.00 mortgage debt was paid in full and the church celebrated the burning of the mortgage on October 20, 1957. On January 2, 1958, a federally chartered Credit Union, the first of its kind at any church in the state of Alabama, was established to serve the members and their families. Mr. S.C. O’Neal served as the first president until January 24, 1962. The current president is Mr. William, Hawes. The church membership, in a. church conference, made the decision to build a new church on the site of Seventh Avenue and Fifteenth Street, North. In August 1971, a groundbreaking ceremony was held and a bond issue for church construction for $150,000.00 was begun on June 10, 1973. This allowed for completion of the funding plan leading to the construction of the new church of over $1 million. While the new church was under construction services were held at the Fourth Avenue YMCA and special services was conducted at Ephesus Seventh Day Adventist Church. On Sunday, May 26, 1974 the new church was dedicated. In 1976 at the General Conference in Atlanta, Georgia, Rev. Thomas was elected the Ninety-ninth Bishop in the African Methodist Episcopal Church. Rev. Thomas is the only pastor elected Bishop from the pulpit of St. John.
Rev. R. J. King followed Rev. Thomas as pastor of St. John. He continued debt reduction in an effort to reduce the mortgage on the church.
Rev. J. W. Nashville continued the debt reduction and worked toward the vision of debt-free church.
Sunday, October 28, 1990, Bishop C. E. Thomas appointed Rev. James L. Davis the fortieth pastor of St. John A.M.E. Church. Under Rev. Davis’ administration, the mortgage and the parsonage were paid in full. On Sunday, May 3, 1992, St. John celebrated burning of the mortgage. During Rev. Davis term, the church membership grew and to accommodate that growth two Sunday morning worship services were conducted. In 1991, Rev. Davis started a citywide sock distribution project for school age children in Birmingham.
October 1992, Rev. Karnie C. Smith was assigned to St. John. Being a visionary, he made changes that would take St. John into the next millennium. He instituted new ministries and programs along with those that already existed. Boards and Auxiliaries were restructured. To help enhance God’s kingdom and spread the spirit of love, Rev. Smith utilized several out-reach ministries to address the social needs of the homeless. Feed My Sheep Ministry gives hot meals to men, women and children on Sundays when other shelters are closed. Loving Hands Ministry is low income-housing ministry.
On October 6, 2001, Bobby Bernard Cox, Jr., being obedient to the calling God has placed upon his life and armed with the vision that St. John would become the church where Christ is Exalted, the Word of God is Explained and People are building relationships with God and each other, became the forty-second pastor assigned to St. John A.M.E. Church. Pastor Bob, as he is affectionately known, clearly demonstrates the characteristics of an humble servant, a faithful leader and a living example of walking according to the will of God. Under his administration, souls have been delivered, people have been empowered and numerous ministries have been developed. St. John is committed daily to Growing the Kingdom through Evangelizing through Ministry, Equipping through Study, Enriching through Fellowship, and Encouraging through Worship. St. John has always been involved in the community at large and the fight for equality for African Americans. From the church on Third Avenue where public school was held, to the Civil Rights Movement of the sixties where the church served as one of the meeting places for the Alabama Christian Movement for Human Rights to present day, St. John A.M.E. Church continues to face the realities of its community by helping it to grow spiritually, educationally, economically, and socially.
The 42nd pastor of Saint John was The Rev. Bobby B. Cox, affectionately known as Pastor Bob. He was assigned to St. John on Saturday, October 6, 2001 and took the pulpit on Sunday, October 7, 2001. Under his leadership, 150 new members joined Saint John, a fifteen passenger van was purchased, a new garage was constructed, a new roof put on the sanctuary, a Hammond Organ, and a new video and editing equipment was purchased. New ministries such as The Young Adult Choir, Simply Spiritual Praise Dancers and a Job Readiness Ministry were established. Developments for St. John were the establishment of an Endowment Fund and the Josiah Plan, a five year projection plan for St. John.
The 43rd pastor of St. John is The Rev. Dr. James Arthur Rumph, appointed by Bishop T. Larry Kirkland on November 5, 2005. Under Pastor Rumph’s leadership, the choirs were revamped with the addition a Youth and Men’s Choir, a nucleus of new leaders were developed, and a youth ministry was strengthened. Rev. Rumph led members in a very informative and interactive “Boot Camp” Membership Training Program. Dr. Rumph believed that Worship, Discipleship, Witnessing, Spiritual Gifts, and Stewardship are the foundation of one’s personal and Church growth development.
On November 15, 2008 at the Ninth Episcopal District Planning Meeting, Bishop James L. Davis appointed Revered Mashod Alexander Evans, Sr., as the 44th Pastor of Saint John African Methodist Episcopal Church. The appointment of this young, energetic Pastor coincided with the election of the first African American and 44th President of the United States – President Barack Obama. The President of the United States and Revered Mashod A. Evans, Sr., both welcomed in an atmosphere of rebirth and anticipation.
In an effort to meet the needs of the congregation, as well as, the needs of surrounding communities, new ministries were formed at Saint John under the leadership of Pastor Evans. Ministries such as: Veterans, Evangelism, Forever Young for Seniors, Singles and Community and Health Ministries all became a thread which connected members throughout the congregation and the community.
Believing that we serve God by serving others, Pastor Evans worked in conjunction with the Birmingham City Schools to provide a location at the church for students participating in the Dropout Prevention Program. He implemented the Magic City Classic Revival, a community-wide event held each October as a prelude to the oldest Historically Black College and University football rivalry in the United States. Additionally, Pastor Evans expanded the Saint John “Come on Home for Christmas” celebration to include multiple community awareness and outreach activities.
Through 141 years, forty-four pastors, and thousands of members, the Lord has continued to shower His blessing upon this community of faith. The membership awaits with expectancy, the good and great things that God has in store for us, “Eyes have not seen, Ears have not heard, nor has it been revealed in the hearts of people, what God has in store for those who love Him.”
Chosen for the Task
“You did not choose Me, but I chose you and appointed you that you should go and bear fruit, and that your fruit should remain, that whatever you ask the Father in My name He may give you,” John 15:16
It was said by Bishop Vashti Murphy McKenzie while campaigning for the Bishopric that, “God does not prepare future leadership in isolation of current leadership;” meaning the two dwells together … one teaching and one receiving what is being taught. And so, it was with St. John’s 45th Pastor, Rev. Dr. Ronald D. Sterling.
Pastor Sterling was chosen and anointed before birth for ministry, and it was here at St. John that he received much of his training for the future, even before his calling. During the time of nurture from Mrs. Mattie P. Cephus and the Christian Education Board, seeds were planted that later sprang forth to bless persons over the State of Alabama and beyond. Pastor Sterling has now gone full circle, from a former member of St. John, Bible Study teacher, passionate homeless ministry leader, and now Pastor of St. John A.M.E. Church in Downtown Birmingham. Pastor Sterling received his calling in 1992 and delivered his initial sermon on December 13, his birthday, making a new beginning for him in ministry.
When Pastor Sterling was chosen to pastor St. John, and appointed by Bishop Harry Lee Seawright in 2017, he came in with a zeal for preaching the Word of God, teaching, and being a prayer warrior/intercessor with emphasis on healing as directed by the Holy Spirit. Pastor Sterling and his beloved wife, Sister Kim, have been vessels of the Lord’s works. She assists him in ministry, sharing her gifts of hospitality and administration, which complements Pastor and blesses the church. Sister Kim serves as Area Chair of the Carrie Russell (deceased member of St. John) Area, Northwest Alabama WMS.
Since coming to St. John seven years ago, following are some of the things accomplished during his tenure.
Church Growth
- Renewed spirituality and growth
- Compassionate prayers and pastoral care to members, and even family members/friends of members. The Morning Prayer Call was established as a healing ministry line.
- Several active choirs, children, and teenage ministries
- Pastor loves to see the smiles and involvement of youth because within them he envisions the future of St. John and this world.
Church Improvements
- Led the church in an over $250,000 capital campaign. Replacement of the roof was a miracle from the Lord as Pastor Sterling continuously taught us about the power of faith and believing that nothing was too hard for God.
- Repaired and resurfaced the ceiling in the sanctuary from water stains and falling debris.
- Renovated upstairs to include removal of mold, replacement of ceiling/floor tile.
- Installation of air purifying system
- Installation of television monitors in the sanctuary for worship
- Installation of two new restrooms
- Purchased updated audio visual streaming equipment
- Online Church School, Bible Study, and 7:00 a.m. prayer line
- Live streaming
- Renovation and organization of the upstairs library
- Paved the parking lot ?
<<<
Record 1
A plane-wave DFT calculation with PBE was carried out for a geometry-optimized CrAs2Ir structure.

It has space group P4mm (No. 99), with a = 2.857 Å, b = 2.857 Å, c = 8.287 Å, α = 90.00°, β = 90.00° and γ = 90.00°. The distinct sites, in fractional coordinates, are Cr at (0.000, 0.000, 0.000), As at (0.000, 0.000, 0.420), As at (0.500, 0.500, 0.802) and Ir at (0.500, 0.500, 0.220).

The formation enthalpy at 0 K comes out at 1.6 kJ per mole of atoms.

Record 2
A plane-wave DFT calculation with PBE was carried out for a geometry-optimized KBiPd3 structure.

It has space group Imma (No. 74), with a = 5.708 Å, b = 9.865 Å, c = 9.092 Å, α = 90.00°, β = 90.00° and γ = 90.00°. The distinct sites, in fractional coordinates, are K at (0.000, 0.250, 0.058), Bi at (0.000, 0.000, 0.500), Pd at (0.000, 0.250, 0.643) and Pd at (0.250, 0.036, 0.750).

The formation enthalpy at 0 K comes out at -14.0 kJ per mole of atoms.

Number 1: energy above the lowest structure with this stoichiometry 0.23 eV per formula unit, DOS at the Fermi energy 2.9 states/eV/cell. Number 2: energy above the lowest structure with this stoichiometry 0.00 eV per formula unit, DOS at the Fermi energy 12.2 states/eV/cell.

=====

w) Here is BeGeCl2 after structural relaxation from Alexandria. Energies are from PBE-GGA.

Cell: 6.379 6.379 6.379 Å, 120.18 120.18 89.68°
Fractional positions:
Be1 0.000 0.000 0.000
Be2 0.750 0.250 0.500
Ge1 0.250 0.750 0.500
Ge2 0.500 0.500 0.000
Cl1 0.375 0.208 0.333
Cl2 0.792 0.125 0.167
Cl3 0.875 0.042 0.667
Cl4 0.958 0.625 0.833

Values from the calculation:
density of states at the Fermi level = 5.929 states/eV per cell
SG = I-42d
M_tot = 0.00 μB/cell

x) Here is BeGeCl2 after structural relaxation from Alexandria. Energies are from PBE-GGA.

Cell: 4.775 4.775 4.775 Å, 60.00 60.00 60.00°
Fractional positions:
Be1 0.000 0.000 0.000
Ge1 0.500 0.500 0.500
Cl1 0.250 0.250 0.250
Cl2 0.750 0.750 0.750

Values from the calculation:
density of states at the Fermi level = 2.160 states/eV per cell
SG = Fm-3m
M_tot = 0.31 μB/cell

y) Here is BeGeCl2 after structural relaxation from Alexandria. Energies are from PBE-GGA.

Cell: 11.934 11.934 11.934 Å, 15.10 15.10 15.10°
Fractional positions:
Be1 0.000 0.000 0.000
Ge1 0.500 0.500 0.500
Cl1 0.370 0.370 0.370
Cl2 0.630 0.630 0.630

Values from the calculation:
density of states at the Fermi level = 0.808 states/eV per cell
SG = R-3m
M_tot = 0.00 μB/cell

Most favorable first, least favorable last: y), w), x)

w) Here is BeGeP2Cl after structural relaxation from Alexandria. Energies are from PBE-GGA.

Cell: 4.742 4.742 4.806 Å, 90.00 90.00 90.00°
Fractional positions:
Be1 0.000 0.000 0.000
Ge1 0.500 0.500 0.500
P1 0.000 0.500 0.500
P2 0.500 0.000 0.500
Cl1 0.500 0.500 0.000

Values from the calculation:
density of states at the Fermi level = 4.222 states/eV per cell
SG = P4/mmm
M_tot = 0.20 μB/cell

x) Here is BeGeP2Cl after structural relaxation from Alexandria. Energies are from PBE-GGA.
>>>
- Repair of the HVAC system ?
- Had the church’s foundation evaluated by engineers and repaired ?
- Repair to the church’s boiler ?
In 2019, Pastor Sterling led the church through one of the most challenging times in modern day history … COVID, a virus that affected millions of people all over the world and caused a shut-down of almost everything, including literal close of the church’s doors because of the death rate and fears of contacting the virus. Came up with innovative ways to have church and provide comfort and hope to the many who lost loved ones during the pandemic.
Outreach ministries
- Clothes ministry established.
- Financial supports Greater Birmingham Ministries and Daniel Payne Foundation monthly.
- Pathways women and children’s shelter.
- Homeless backpack ministry.
District/Connectional Involvement
- Hosted two Annual Conferences
- Connectional Prayer Meeting
Pastor Sterling was chosen and sent to St. John to teach us how to bear even more fruit through God’s guidance. Those who know Pastor Sterling attest to his love for God and His people, with many describing him as a “shepherd after God’s own heart.” His life reflects God’s Spirit dwelling in an earthly vessel.